Way to Health

BE 101 - Introduction to behavioral economics

Feb 27, 2018

Behavioral economics is a somewhat recent field of study. Its impact is increasingly felt in multiple domains. This article is an attempt to provide a brief overview of behavioral economics and compare it with "traditional" economics. Some core concepts are introduced. Our next article will focus more on each of these concepts with examples from health care.

Misplaced data records:
/*
Record 1
Diffraction record for Li2Hg3Pd7. The PXRD pattern is calculated, not measured: it uses a crystal structure in Alexandria, relaxed with PBE and a wavelength of 1.5418 Å.
Kinematic intensities with the Lorentz-polarization factor, no thermal factor.

Main lines, by intensity (5° ≤ 2θ ≤ 70°):
38.66 deg, I 100
38.79 deg, I 99
24.53 deg, I 79
44.12 deg, I 69
66.25 deg, I 41
46.77 deg, I 29
41.22 deg, I 21
64.02 deg, I 17
51.02 deg, I 12
51.23 deg, I 11

Atomic structure:
Cell: 9.5549 9.1973 4.8448 Å, 79.16 70.98 29.87°
Sites, in units of the cell vectors:
Li 0.1673 0.1673 0.8327
Li 0.8327 0.8327 0.1673
Hg 0.0000 0.0000 0.0000
Hg 0.3327 0.3327 0.6673
Hg 0.6673 0.6673 0.3327
Pd 0.0849 0.0849 0.4151
Pd 0.2500 0.2500 0.2500
Pd 0.4151 0.4151 0.0849
Pd 0.5000 0.5000 0.5000
Pd 0.5849 0.5849 0.9151
Pd 0.7500 0.7500 0.7500
Pd 0.9151 0.9151 0.5849

Record 2
Diffraction record for ScCoSnRh. The PXRD pattern is calculated, not measured: it uses a crystal structure in Alexandria, relaxed with PBE and a wavelength of 1.5418 Å.
Kinematic intensities with the Lorentz-polarization factor, no thermal factor.

Main lines, by intensity (5° ≤ 2θ ≤ 70°):
40.17 deg, I 100
24.28 deg, I 17
58.11 deg, I 17
47.49 deg, I 9
63.90 deg, I 4

Atomic structure:
Cell: 4.4901 4.4901 4.4901 Å, 60.00 60.00 60.00°
Sites, in units of the cell vectors:
Sc 0.0000 0.0000 0.0000
Co 0.2500 0.2500 0.2500
Sn 0.5000 0.5000 0.5000
Rh 0.7500 0.7500 0.7500

Record 3
Diffraction record for TbHo4Er5. The PXRD pattern is calculated, not measured: it uses a crystal structure in Alexandria, relaxed with PBE and a wavelength of 1.5418 Å.
Kinematic intensities with the Lorentz-polarization factor, no thermal factor.

Main lines, by intensity (5° ≤ 2θ ≤ 70°):
32.95 deg, I 100
31.70 deg, I 45
32.65 deg, I 37
29.53 deg, I 25
31.52 deg, I 16
57.27 deg, I 13
33.36 deg, I 12
50.31 deg, I 12
43.67 deg, I 11
60.93 deg, I 10

Atomic structure:
Cell: 3.5176 6.6252 13.9035 Å, 98.21 92.45 104.33°
Sites, in units of the cell vectors:
Tb 0.0000 0.0000 0.0000
Ho 0.1265 0.8134 0.2152
Ho 0.1760 0.7231 0.8057
Ho 0.8240 0.2769 0.1943
Ho 0.8735 0.1866 0.7848
Er 0.2019 0.8792 0.5839
Er 0.4848 0.4244 0.6142
Er 0.5000 0.5000 0.0000
Er 0.5152 0.5756 0.3858
Er 0.7981 0.1208 0.4161

Record 4
Diffraction record for Ba2LaTaO6. The PXRD pattern is calculated, not measured: it uses a crystal structure in Alexandria, relaxed with PBE and a wavelength of 1.5418 Å.
Kinematic intensities with the Lorentz-polarization factor, no thermal factor.

Main lines, by intensity (5° ≤ 2θ ≤ 70°):
29.10 deg, I 100
28.81 deg, I 67
41.35 deg, I 37
28.87 deg, I 34
51.54 deg, I 29
51.37 deg, I 28
41.58 deg, I 17
50.85 deg, I 14
68.05 deg, I 12
60.29 deg, I 11

Atomic structure:
Cell: 6.1290 6.1369 6.1865 Å, 90.33 119.45 119.88°
Sites, in units of the cell vectors:
Ba 0.0069 0.2520 0.2593
Ba 0.9931 0.7480 0.7407
La 0.5000 0.5000 0.0000
Ta 0.5000 0.0000 0.5000
O 0.0426 0.8091 0.3110
O 0.4305 0.7721 0.2044
O 0.4908 0.7295 0.6870
*/
So much for the data records:

Mohan Balachandran Mohan Balachandran

A very basic primer on behavioral economics

Behavioral Economics is a science combining economics and psychology to observe and understand human behavior and decision-making processes. Behavioral economics recognizes that people often do not have sufficient time, data or resources while making decisions. This can prevent us from optimally evaluating every decision i.e. being perfectly rational. To deal with our limitations, people devise shortcuts or heuristics to aid in decision-making. These shortcuts can often lead to non-ideal choices, but interestingly tend to be predictably irrational.

A lot of people would credit Amos Tversky and Daniel Kahneman for inventing the field of behavioral economics. In their seminal 1974 paper titled Judgment Under Uncertainty: Heuristics and Biases and in a series of following articles, Kahneman and Tversky demonstrated the ways in which human beings consistently erred when forced to make decisions in the face of uncertainty. As Michael Lewis writes in his recent book, The Undoing Project, “Their work created the field of behavioral economics, revolutionized Big Data studies, advanced evidence-based medicine, led to a new approach to government regulation, and made much of my own work possible. Kahneman and Tversky are more responsible than anybody for the powerful trend to mistrust human intuition and defer to algorithms”.

The field has continued to evolve since then with leadings lights such as Richard Thaler, Daniel Ariely, George Loewenstein and in the field of healh care, Dr. David Asch and Dr. Kevin Volpp and more recently Katherine Milkman and Angela Duckworth.

-- The piece is interrupted by crystal structures --
<<<
# 1
Zr4Fe2N: computed PXRD pattern (Cu Ka), based on a crystal structure in the Materials Project, relaxed with PBE.

Cell and atoms:
abc: 12.2064 12.2064 12.2064
angles: 90.00 90.00 90.00
Space group Fd-3m (No. 227, origin choice 2)
Unique sites:
Zr 0.0000 0.0000 0.0000
Zr 0.0603 0.3750 0.8750
Fe 0.0408 0.0408 0.2092
N 0.0000 0.0000 0.5000

Most intense lines, 15 to 90 degrees two-theta, by intensity:
d/Å	I_rel	(hkl)
2.349	100.0	3 3 3
2.492	40.6	4 2 2
1.439	36.5	6 6 0
2.158	29.3	4 4 0
2.800	23.3	3 3 1
1.227	18.2	9 3 3
1.409	10.4	5 5 5
1.840	7.6	6 2 2
1.491	7.2	7 3 3
2.034	5.6	4 4 2



# 2
Na3Fe: computed PXRD pattern (Cu Ka), based on a crystal structure in the Materials Project, relaxed with PBE.

Cell and atoms:
```
data_Na3Fe
_space_group_name_H-M_alt 'P 63/m m c'
_space_group_IT_number 194
_space_group_name_Hall '-P 6c 2c'
_cell_length_a 6.9328
_cell_length_b 6.9328
_cell_length_c 5.3960
_cell_angle_alpha 90.00
_cell_angle_beta 90.00
_cell_angle_gamma 120.00
loop_
_atom_site_label
_atom_site_type_symbol
_atom_site_fract_x
_atom_site_fract_y
_atom_site_fract_z
_atom_site_occupancy
Na1 Na 0.1747 0.3494 0.2500 1
Fe1 Fe 0.3333 0.6667 0.7500 1
```

Most intense lines, 15 to 90 degrees two-theta, by intensity:
d/Å	I_rel	(hkl)
2.623	100.0	2 0 1
3.002	24.4	2 0 0
2.698	24.4	0 0 2
4.013	18.2	1 0 1
1.458	18.1	2 2 2
1.543	17.2	2 0 3
1.733	17.2	2 2 0
2.007	14.5	2 0 2
1.446	13.0	4 0 1
3.466	10.2	1 1 0



# 3
Na3Fe: computed PXRD pattern (Cu Ka), based on a crystal structure in the Materials Project, relaxed with PBE.

Cell and atoms:
```
data_Na3Fe
_space_group_name_H-M_alt 'P m -3 m'
_space_group_IT_number 221
_space_group_name_Hall '-P 4 2 3'
_cell_length_a 4.7899
_cell_length_b 4.7899
_cell_length_c 4.7899
_cell_angle_alpha 90.00
_cell_angle_beta 90.00
_cell_angle_gamma 90.00
loop_
_atom_site_label
_atom_site_type_symbol
_atom_site_fract_x
_atom_site_fract_y
_atom_site_fract_z
_atom_site_occupancy
Na1 Na 0.0000 0.0000 0.5000 1
Fe1 Fe 0.5000 0.5000 0.5000 1
```

Most intense lines, 15 to 90 degrees two-theta, by intensity:
d/Å	I_rel	(hkl)
2.765	100.0	1 1 1
2.395	49.2	2 0 0
1.444	34.5	3 1 1
1.693	31.3	2 2 0
4.790	21.4	1 0 0
3.387	17.8	1 1 0
1.099	12.5	3 3 1
1.383	9.7	2 2 2
2.142	9.5	2 1 0
1.955	7.0	2 1 1



# 4
Na2Fe3S4: computed PXRD pattern (Cu Ka), based on a crystal structure in the Materials Project, relaxed with PBE.

Cell and atoms:
```
data_Na2Fe3S4
_space_group_name_H-M_alt 'C 1 m 1'
_space_group_IT_number 8
_space_group_name_Hall 'C -2y'
_cell_length_a 14.7747
_cell_length_b 3.5842
_cell_length_c 6.5127
_cell_angle_alpha 90.00
_cell_angle_beta 115.57
_cell_angle_gamma 90.00
loop_
_atom_site_label
_atom_site_type_symbol
_atom_site_fract_x
_atom_site_fract_y
_atom_site_fract_z
_atom_site_occupancy
Na1 Na 0.0000 0.0000 0.0000 1
Na2 Na 0.0066 0.5000 0.5041 1
Fe1 Fe 0.2015 0.5000 0.0299 1
Fe2 Fe 0.2038 0.0000 0.5448 1
Fe3 Fe 0.3155 0.5000 0.4761 1
S1 S 0.1529 0.5000 0.3063 1
S2 S 0.1539 0.0000 0.8228 1
S3 S 0.3623 0.5000 0.2063 1
>>>
-- So much for the crystal structures --

How are traditional economics and behavioral economics different?

# Next to the entry, the page also holds crystal structures
Calculated powder diffractogram of Li2CaTb2Si2 for λ = 1.5418 Å (Cu Kα), from the PBE geometry in Alexandria.

Cell and atoms:
```
data_Li2CaTb2Si2
_symmetry_space_group_name_H-M 'R -3 m'
_symmetry_Int_Tables_number 166
_symmetry_space_group_name_Hall '-R 3 2"'
_cell_length_a 4.5280
_cell_length_b 4.5280
_cell_length_c 26.8088
_cell_angle_alpha 90.00
_cell_angle_beta 90.00
_cell_angle_gamma 120.00
loop_
_atom_site_label
_atom_site_type_symbol
_atom_site_fract_x
_atom_site_fract_y
_atom_site_fract_z
Li1 Li 0.0000 0.0000 0.0960
Ca1 Ca 0.0000 0.0000 0.5000
Tb1 Tb 0.0000 0.0000 0.3720
Si1 Si 0.0000 0.0000 0.2450
# So much for the crystal structures

To say that traditional economists (the so-called Chicago School of economists) and behavioral economists agree with each other fully would be a gross misstatement. As an example, after hearing that Richard Thaler won the Nobel Prize in Economics in 2017, Paul Krugman, the 2008 winner tweeted “Yes! Behavioral econ is the best thing to happen to the field in generations, and Thaler showed the way”. Other reactions while supportive were not as enthusiastic. Here’s an extract the Wikipedia page on Thaler, “However, Thaler’s selection was not met with universal acclaim; Robert Shiller (one of the 2013 laureates) noted that some economists still view Thaler’s incorporation of a psychological perspective within an economics framework as a dubious proposition. And, an article in The Economist simultaneously praised Thaler and his fellow behavioral colleagues while bemoaning the practical difficulties that have resulted from causing “economists as a whole to back away a bit from grand theorizing, and to focus more on empirical work and specific policy questions.”” The cause of these disagreements seems to stem either from the core assumptions underlying each field, as well as from the methods each discipline employs.

Experimental economists traditionally believed that human beings were rational human beings i.e. belong to the species homo economicus. Behavioral economists contend that that is not always the case. To paraphrase a quote from the book, Advances in Behavioral Economics, behavioral economists define themselves on the application of psychological insights to economics and not necessarily on the research methods that they employ. Experimental economists, on the other hand, define themselves on the exclusive use of experimentation as a research tool and also seem to have a virtual prohibition against deceiving test subjects.

Secondly, since experimental economists are focused on broadly applicable theories, they often tend to not include data such as demographics, self-reported data, context etc. which behavioral economists use constantly. For example, if you consistently vote Republican, your view on tax reductions is likely very different from someone who leans Democratic. Real life, demographics and personal biases do matter when decisions are being made.

Thirdly, economics experiments try to weed out biases. So tasks are repeated again and again until some consistency of response is achieved. It is this latter set of data that is often used for analysis. While this equilibrium response is useful, behavioral economists contend that since most of the major decisions we make in life - marriage, healthy behaviors, educational decisions, saving for retirement, buying homes or cars - happen just a few times in a person’s life, the first few iterations of an experiment are equally valuable.

These are just some of the differences between these two schools of research and hopefully, a grand unified theory is around the corner.

Some health care context

alt Healthcare Expenditure

Let’s look at why behavioral economics in health care is so promising. We’ve all seen various variants of this chart showing the poor performance of the United States in terms of life expectancy given our expenditure on health care. Additionally, if you look at the data on the various causes of premature mortality in the US, about 40% can be attributed to poor behavioral patterns. One could easily interpret this to say that health care is a behavioral change change business. It is in this context that we will delve into further details of the application of behavioral economics to improving / changing health care behavior. In general, the approach will be to look at the “errors” people make that consistently deviate from rational behavior and present ways in which researchers and implementers are trying to overcome these issues.

The key such errors in decision making are as follows:

Source: Loewenstein, G., Brennan, T. and Volpp, K. (2007). Protecting People from Themselves: Using Decision Errors to Help People Improve Their Health. JAMA. 298(20), 2415-2417; Volpp, Pauly, Loewenstein, Bangsberg, (2009) Pay for Performance for Patients. Health Affairs 28(1): 206-14.

In the next article, we’ll use a few examples to illustrate each of these core concepts and theories behind behavioral economics. We will also explore some of the policy changes and other interesting experiments leveraging behavioral economics that have been implemented in the real world and the associated outcomes. We’ll be doing this as much as possible in the health care context.